SOLID Principles

Principles of Object Oriented Desig


In the world of software development, creating clean and maintainable code is essential. However, at times, it can be complex and challenging.

At the end of the 20th century, the software development industry was going through a difficult period. Developers were faced with the task of maintaining and improving highly complex systems. As software projects grew, their breadth and depth increased, creating difficulties in managing and maintaining them.

It is in this context where SOLID principles come into play. These five principles, created by software engineer Robert C. Martin, offer guidance for creating high-quality software.

These five principles provide a compass to guide developers in addressing the challenges inherent in creating and maintaining clean, robust code.

What are the SOLID principles?

1 - Single Responsibility:

"A class should have one and only one reason to change, which means a class should have only one job."

Inserted here: data records =
........
Material: Tb8Ga2Ni
Method: DFT, PBE-GGA
State: relaxed Values from VASP.

symmetry = No. 12
uncorrected energy = -51.816 eV/cell
energy relative to the elements = -0.27 eV/atom
M_tot = 0.00 μB/cell

Geometry as Quantum ESPRESSO input:
```
&SYSTEM
  ibrav = 0, nat = 11, ntyp = 3
/
ATOMIC_SPECIES
Tb 158.93 Tb.upf
Ga 69.72 Ga.upf
Ni 58.69 Ni.upf
ATOMIC_POSITIONS crystal
Tb 0.409 0.540 0.817
Tb 0.210 0.315 0.419
Tb 0.650 0.980 0.301
Tb 0.790 0.685 0.581
Tb 0.021 0.779 0.042
Tb 0.979 0.221 0.958
Ga 0.812 0.243 0.624
Ni 0.500 0.000 0.000
Tb 0.591 0.460 0.183
Tb 0.350 0.020 0.699
Ga 0.188 0.757 0.376
CELL_PARAMETERS angstrom
-4.354 2.101 -0.958
-2.495 -5.909 -1.621
0.374 -0.708 9.425
```

* * * * *

Compound: Ca2Tc2O7
Source: Alexandria via LeMat-Bulk
Functional: PBE
Structure: relaxed

Cell lengths 4.9814, 4.9814, 5.2970 Å; angles 90.00, 90.00, 95.70 degrees
Closest atoms and distances in Å follow each position.
Fractional coordinates of all 11 atoms:
Ca1 0.2452 0.2452 0.0000  6 O 2.28-2.34
Ca2 0.7548 0.7548 0.0000  6 O 2.28-2.34
Tc1 0.2788 0.7212 0.5000  7 O 1.99-2.07
Tc2 0.7212 0.2788 0.5000  7 O 1.99-2.07
O1 0.0000 0.0000 0.5000  2 Tc 2.06
O2 0.0000 0.5000 0.2720  2 Tc 2.07
O3 0.0000 0.5000 0.7280  2 Tc 2.07
O4 0.5000 0.0000 0.2720  2 Tc 2.07
O5 0.5000 0.0000 0.7280  2 Tc 2.07
O6 0.5000 0.5000 0.2852  2 Tc 1.99
O7 0.5000 0.5000 0.7148  2 Tc 1.99

Computed properties:
D(E_F) = 3.37 states/eV/cell
SG = Cmmm (65)
formation energy (no corrections) = -1.793 eV per atom

Compound: CaTcO3
Source: Alexandria via LeMat-Bulk
Functional: PBE
Structure: relaxed

Cell lengths 5.6241, 7.7913, 5.4240 Å; angles 90.00, 90.00, 90.00 degrees
Closest atoms and distances in Å follow each position.
Fractional coordinates of all 20 atoms:
Ca1 0.0547 0.2500 0.0134  6 O 2.33-2.60
Ca2 0.4453 0.7500 0.5134  6 O 2.33-2.60
Ca3 0.5547 0.2500 0.4866  6 O 2.33-2.60
Ca4 0.9453 0.7500 0.9866  6 O 2.33-2.60
Tc1 0.0000 0.0000 0.5000  6 O 2.02-2.03
Tc2 0.0000 0.5000 0.5000  6 O 2.02-2.03
Tc3 0.5000 0.0000 0.0000  6 O 2.02-2.03
Tc4 0.5000 0.5000 0.0000  6 O 2.02-2.03
O1 0.0309 0.7500 0.4069  2 Tc 2.02
O2 0.2037 0.5481 0.8004  2 Tc 2.02-2.03
O3 0.2037 0.9519 0.8004  2 Tc 2.02-2.03
O4 0.2963 0.0481 0.3004  2 Tc 2.02-2.03
O5 0.2963 0.4519 0.3004  2 Tc 2.02-2.03
O6 0.4691 0.2500 0.9069  2 Tc 2.02
O7 0.5309 0.7500 0.0931  2 Tc 2.02
O8 0.7037 0.5481 0.6996  2 Tc 2.02-2.03
O9 0.7037 0.9519 0.6996  2 Tc 2.02-2.03
O10 0.7963 0.0481 0.1996  2 Tc 2.02-2.03
O11 0.7963 0.4519 0.1996  2 Tc 2.02-2.03
O12 0.9691 0.2500 0.5931  2 Tc 2.02

Computed properties:
D(E_F) = 9.90 states/eV/cell
SG = Pnma (62)
formation energy (no corrections) = -2.054 eV per atom

Compound: Ca2TcO4
Source: Alexandria via LeMat-Bulk
Functional: PBE
Structure: relaxed

Cell lengths 5.5142, 5.6749, 11.8872 Å; angles 90.00, 90.00, 90.00 degrees
Closest atoms and distances in Å follow each position.
Fractional coordinates of all 28 atoms:
Ca1 0.0091 0.0583 0.1505  5 O 2.29-2.54
Ca2 0.0091 0.4417 0.6505  5 O 2.29-2.54
........


Imagine we are building an employee management system in Node.js. Instead of having a single giant class, we can divide responsibilities into separate modules:

  class Employee {
    constructor(name, salary) { = name;
      this.salary = salary;
    calculateSalary() {
      // Salary-related calculations
  class EmployeeRepository {
    saveEmployee(employee) {
      // Logic for saving to the database

2 - Open/Closed:

"Objects or entities should be open for extension but closed for modification."


Suppose we have a Form class with methods to calculate the area of different geometric shapes. Applying the open/closed principle:

  class Form {
    // Methods to calculate the area of different shapes
  class Circle extends Form {
    calculateArea() {
      // Calculation of the area of a circle
  class Rectangle extends Form {
    calculateArea() {
      // Calculation of the area of a rectangle

This way, we can extend the functionality of the Form class without modifying its existing code by adding new subclasses.

3 - Liskov Substitution:

"Every subclass or derived class should be substitutable for its base or parent class."


Suppose we have a class hierarchy for geometric figures and want to apply the Liskov substitution principle:

  class Figure {
    calculateArea() {
      return 0.0;
  class Circle extends Figure {
    calculateArea() {
      // Calculation of the area of a circle
  class Square extends Figure {
    calculateArea() {
      // Calculation of the area of a square

Any instance of a subclass (e.g., Circle or Square) can be used in place of an instance of the base class Figure without issues.

4 - Interface Segregation:

"One should not be forced to implement an interface they do not use, and clients should not be forced to depend on methods they do not use."


Let's imagine a Node.js printing system that allows printing documents. Applying the interface segregation principle:

  class Printer {
    print() {
      // Implementation of printing
  class Scanner {
    scan() {
      // Implementation of scanning

This way, classes can implement only the methods they need.

5 - Dependency Inversion:

"The high-level module should not depend on the low-level module, but both should depend on abstractions."


Suppose we have a Motor class used by a Car class. Applying the dependency inversion principle:

  class Motor {
    start() {
      // Logic for starting a motor
  class Car {
    constructor(motor) {
      this.motor = motor;
    startCar() {

This way, the high-level module (Car) depends on an abstraction (Motor) rather than a specific implementation.